Yesterday I got my shiny new “RasPiCam” Raspberry Pi camera module about half an hour before I had to go out and teach. Being a good boy scout (although I never was one) I was ready for it and had it up and running within five minutes of it coming through the letterbox.
But when I got back from school, I shot some test videos that I wanted to edit and publish. You know how it is. You have to publish something on day 1 or it didn’t happen, right? :)
I knew there must be an FFMPEG command for it, but couldn’t find it anywhere. I wasted a couple of frustrating hours trying to figure out how to get the raw .h264 stream into an MP4 file that Pinnacle, my editing suite, could handle.
Eventually, Dom Cobley, one of the Broadcom guys who does a lot of work for the Raspberry Pi Foundation gave me most of the solution and Mike “Recantha, PiPod, CamJam” Horne gave me the rest. And it worked – on my Ubuntu laptop. But let’s back up a minute and deal with the commands to shoot (record) the video first.
To shoot video with the Raspberry Pi Camera
From the command line, type…
raspivid -o filename.h264 -t 20000
…where filename is a file name of your choice.
This will store the output .h264 stream in a file called “filename.h264” and will stop recording after 20000 milliseconds (20s). (It defaults to 1080p @ 30 frames per second).
There are a couple of other useful little options you might want to know about. By default, the image is flipped vertically, meaning you see a mirror image of what you filmed.
Depending on which way round you hold the camera, you might want to flip it either horizontally, vertically or both. You can do that by adding -vf
Someone pasted materials data at this point.
+++
# YCoAsSe2

YCoAsSe2 after structural relaxation (GGA-PBE, Alexandria).

Cell lengths 5.396, 5.396, 5.453 Å; angles 90.00, 90.00, 90.00 degrees
Atoms (fractional coordinates):
Y1 0.000 0.000 0.000
Co1 0.500 0.500 0.500
As1 0.000 0.000 0.500
Se1 0.000 0.500 0.000
Se2 0.500 0.000 0.000

formation energy without anion corrections = 2.71 eV/f.u.
ΔE to the lowest computed polymorph = 96.0 kJ/mol of atoms


# MgZr2Au

MgZr2Au after structural relaxation (GGA-PBE, Alexandria).

Cell lengths 3.245, 4.419, 6.088 Å; angles 90.00, 105.34, 90.00 degrees
Atoms (fractional coordinates):
Mg1 0.000 0.000 0.000
Zr1 0.261 0.000 0.522
Zr2 0.613 0.500 0.228
Au1 0.865 0.500 0.734

total energy = -0.4189 Ry/atom


# ScCoBr4

ScCoBr4 after structural relaxation (GGA-PBE, Alexandria).

Cell lengths 6.142, 6.142, 6.142 Å; angles 60.00, 60.00, 60.00 degrees
Atoms (fractional coordinates):
Sc1 0.000 0.000 0.000
Co1 0.250 0.250 0.250
Br1 0.126 0.625 0.625
Br2 0.625 0.126 0.625
Br3 0.625 0.625 0.126
Br4 0.625 0.625 0.625

formation energy without anion corrections = 4.63 eV/f.u.


# Dy2SiI

Dy2SiI after structural relaxation (GGA-PBE, Alexandria).

Cell lengths 7.805, 7.805, 7.805 Å; angles 31.30, 31.30, 31.30 degrees
Atoms (fractional coordinates):
Dy1 0.231 0.231 0.231
Dy2 0.769 0.769 0.769
Si1 0.500 0.500 0.500
I1 0.000 0.000 0.000

formation energy without anion corrections = -3.54 eV/f.u.
ΔE to the lowest computed polymorph = 0.0 kJ/mol of atoms


# AcTmPd3

AcTmPd3 after structural relaxation (GGA-PBE, Alexandria).

Cell lengths 13.657, 13.657, 4.415 Å; angles 90.00, 90.00, 163.48 degrees
Atoms (fractional coordinates):
Ac1 0.075 0.925 0.750
Ac2 0.925 0.075 0.250
Tm1 0.207 0.793 0.250
Tm2 0.793 0.207 0.750
Pd1 0.310 0.690 0.250
Pd2 0.371 0.629 0.750
Pd3 0.471 0.529 0.750
Pd4 0.529 0.471 0.250
Pd5 0.629 0.371 0.250
Pd6 0.690 0.310 0.750

total energy = -0.4182 Ry/atom


# Na2Zn4Au3

Na2Zn4Au3 after structural relaxation (GGA-PBE, Alexandria).

Cell lengths 8.357, 8.357, 7.807 Å; angles 90.00, 90.00, 140.75 degrees
Atoms (fractional coordinates):
Na1 0.097 0.903 0.889
Na2 0.403 0.597 0.389
Na3 0.597 0.403 0.611
Na4 0.903 0.097 0.111
Zn1 0.173 0.827 0.510
Zn2 0.179 0.321 0.750
Zn3 0.321 0.179 0.250
Zn4 0.327 0.673 0.010
Zn5 0.673 0.327 0.990
Zn6 0.679 0.821 0.750
Zn7 0.821 0.679 0.250
Zn8 0.827 0.173 0.490
Au1 0.000 0.000 0.500
Au2 0.008 0.492 0.750
Au3 0.492 0.008 0.250
Au4 0.500 0.500 0.000
Au5 0.508 0.992 0.750
Au6 0.992 0.508 0.250

total energy = -0.1615 Ry/atom


# KSN2O

KSN2O after structural relaxation (GGA-PBE, Alexandria).

Cell lengths 5.460, 5.460, 5.086 Å; angles 90.00, 90.00, 90.00 degrees
Atoms (fractional coordinates):
K1 0.000 0.000 0.000
S1 0.500 0.500 0.500
N1 0.000 0.500 0.000
N2 0.500 0.000 0.000
O1 0.000 0.000 0.500

formation energy without anion corrections = 12.53 eV/f.u.


# La3YBi

La3YBi after structural relaxation (GGA-PBE, Alexandria).

Cell lengths 6.129, 6.129, 6.129 Å; angles 90.00, 90.00, 90.00 degrees
Atoms (fractional coordinates):
+++
and/or -hf
to the command, like this…
raspivid -o filename.h264 -t 20000 -vf -hf
raspivid -o filename.h264 -t 20000 -vf
'''
*one*
SrTlAs2Se | GGA-PBE | optimized geometry

The space group is P4/mmm (No. 123) and the conventional cell measures 5.781, 5.781 and 5.774 Å, with angles of 90.00, 90.00 and 90.00 degrees. The inequivalent atoms are Sr at (0.000, 0.000, 0.000), Tl at (0.500, 0.500, 0.500), As at (0.000, 0.500, 0.000) and Se at (0.000, 0.000, 0.500).

As for the crystal system: tetragonal.

*two*
SrTlAs2Se | GGA-PBE | optimized geometry

The space group is P4/mmm (No. 123) and the conventional cell measures 5.314, 5.314 and 5.554 Å, with angles of 90.00, 90.00 and 90.00 degrees. The inequivalent atoms are Sr at (0.000, 0.000, 0.000), Tl at (0.500, 0.500, 0.500), As at (0.000, 0.500, 0.500) and Se at (0.500, 0.500, 0.000).

As for the crystal system: tetragonal.

Energy comparison, zero being the most stable, in eV/atom: *one* 0.304; *two* 0.000.
'''
## Back to the text
raspivid -o filename.h264 -t 20000 -hf
How to view your Raspberry Pi Camera output on the Pi
If you booted the Pi with a screen attached, you can quickly check which way round your video is by watching it with omxplayer (you can also see it while you’re shooting). Film something with text on and you’ll see straight away if it needs flipping or not. The command is simply…
omxplayer filename.h264
Then you’ll see if you need -vf (probably) and/or -hf (depends on which way up your camera is).
That still leaves you with a raw .h264 stream file. Pinnacle and other video editing software can’t open these files. :( You need to perform a bit of black magic first. ;)
How to convert your Raspberry Pi Camera output to MP4 or MKV
This is easy when you know how. It can be done on the Pi, but my FFMPEG install is a bit “custom” after installing Get-iplayer, so I use my Ubuntu Lucid laptop for this part. The command is the same though. We’re just putting a MP4 “wrapper” around the .h264 stream.
ffmpeg -r 30 -i video_in.h264 -vcodec copy video_out.mp4
…where video_in and video_out are your chosen file names. If you wanted mkv instead of mp4, just use mkv instead of mp4.
So that’s it in a nutshell. It helped me to make this video and get it posted on Day 1, so it very definitely DID happen. :)
Extra Tricks by Bill Tidey
Bill posted these tips in the Pi forums and they were too good not to share…
ffmpeg -f lavfi -i aevalsrc=0 -r 30 -i test.h264 -shortest -c:v copy -c:a aac -strict experimental testo.mp4
…adds a silent audio channel as some video editors don’t work without this.
ffmpeg -i test.mp3 -r 30 -i test.h264 -shortest -c:v copy -c:a aac -strict experimental testo.mp4
…adds a real audio track where the test.mp3 should normally be longer than the video as the output is the shortest.
[…] from 6 to 35V will work with this regulator) connect my phone or tablet using BlueTerm. Login, and start shooting video. Share this: Pin ItEmail Posted by alex at 12:14 […]
A Google for ‘raspivid mp4’ lead me here, while trying to automate a motion capture + online video clip combination for spotting wildlife (well, actually, evidence of rats in the loft – yuck). I found the ffmpeg installed by Raspbian does not work on the pi itself. It processes the file and produces a sensible size of output file, but only a single frame is viewable.
Despite outputting lots of warnings, the equivalent command passed to ‘avconv’ produces a playable file:
avconv -i “my_captured.h264” -c:v copy “my_captured.mp4”